Brief >
Your job: transcribe the material further below from the first line to the one with "0.6406 0.2500" verbatim.

Excerpt >
=====
[1]
DFT (PBE+U) results for a geometry-optimized Zr3FeF6 structure.

a b c (Å): 6.3925 6.6967 12.6991
angles (deg): 88.13 86.59 61.59
Closest atoms and distances in Å follow each position.
Element x y z (fractional)
Zr 0.0000 0.0000 0.0000  2 F 2.03
Zr 0.0000 0.5000 0.5000  2 F 1.96
Zr 0.5000 0.0000 0.0000  2 F 2.03
Fe 0.0000 0.5000 0.0000  4 F 2.15-2.19
F 0.0747 0.4966 0.3477  1 Zr 1.96
F 0.0895 0.7187 0.0906  1 Zr 2.03, 1 Fe 2.19
F 0.3091 0.2859 0.0870  1 Zr 2.03, 1 Fe 2.15
F 0.6909 0.7141 0.9130  1 Zr 2.03, 1 Fe 2.15
F 0.9105 0.2813 0.9094  1 Zr 2.03, 1 Fe 2.19
F 0.9253 0.5034 0.6523  1 Zr 1.96

Magnetic moment ... 0.80 μB per atom
ΔE to the lowest computed polymorph ... 228 meV/atom
Total DFT energy (no corrections) ... -5.781 eV per atom
E_form ... -1.72 eV per atom

[2]
DFT (PBE+U) results for a geometry-optimized SrMnOF5 structure.

a b c (Å): 5.3692 7.7989 6.0804
angles (deg): 90.00 110.40 90.00
Closest atoms and distances in Å follow each position.
Element x y z (fractional)
Sr 0.0855 0.2500 0.3842  7 F 2.46-2.69
Sr 0.9145 0.7500 0.6158  7 F 2.46-2.69
Mn 0.5000 0.0000 0.0000  6 F 1.86-2.07
Mn 0.5000 0.5000 0.0000  6 F 1.86-2.07
O 0.3440 0.7500 0.4424  8 F 2.84-3.14, 2 Sr 2.85-2.87
O 0.6560 0.2500 0.5576  8 F 2.84-3.14, 2 Sr 2.85-2.87
F 0.2108 0.0377 0.7142  1 Mn 1.91
F 0.2108 0.4623 0.7142  1 Mn 1.91
F 0.2864 0.0548 0.1740  1 Mn 1.86
F 0.2864 0.4452 0.1740  1 Mn 1.86
F 0.3594 0.7500 0.9633  2 Mn 2.07
F 0.6406 0.2500 0.0367  2 Mn 2.07
F 0.7136 0.5548 0.8260  1 Mn 1.86
F 0.7136 0.9452 0.8260  1 Mn 1.86
F 0.7892 0.5377 0.2858  1 Mn 1.91
F 0.7892 0.9623 0.2858  1 Mn 1.91

Magnetic moment ... 0.36 μB per atom
Total DFT energy (no corrections) ... -5.112 eV per atom
E_form ... -2.52 eV per atom

[3]
DFT (PBE+U) results for a geometry-optimized NdEuZrVO6 structure.

a b c (Å): 5.7658 5.7658 5.7658
angles (deg): 60.00 60.00 60.00
Closest atoms and distances in Å follow each position.
Element x y z (fractional)
Nd 0.0000 0.0000 0.0000  12 O 2.88
Eu 0.5000 0.5000 0.5000  12 O 2.88
Zr 0.2500 0.2500 0.2500  6 O 2.07
V 0.7500 0.7500 0.7500  6 O 2.00
O 0.5041 0.5041 0.9959  1 V 2.00, 1 Zr 2.07
O 0.5041 0.9959 0.5041  1 V 2.00, 1 Zr 2.07
O 0.5041 0.9959 0.9959  1 V 2.00, 1 Zr 2.07
O 0.9959 0.5041 0.5041  1 V 2.00, 1 Zr 2.07
O 0.9959 0.5041 0.9959  1 V 2.00, 1 Zr 2.07
O 0.9959 0.9959 0.5041  1 V 2.00, 1 Zr 2.07

Magnetic moment ... 0.90 μB per atom
Total DFT energy (no corrections) ... -8.876 eV per atom
E_form ... -3.22 eV per atom

[4]
DFT (PBE+U) results for a geometry-optimized CaMnO2 structure.

a b c (Å): 6.6022 6.6022 6.6022
angles (deg): 60.00 60.00 60.00
Closest atoms and distances in Å follow each position.
Element x y z (fractional)
Ca 0.0000 0.0000 0.0000  6 O 2.37
Ca 0.0000 0.0000 0.5000  6 O 2.37
Ca 0.0000 0.5000 0.0000  6 O 2.37
Ca 0.5000 0.0000 0.0000  6 O 2.37
Mn 0.0000 0.5000 0.5000  6 O 2.30
Mn 0.5000 0.0000 0.5000  6 O 2.30
Mn 0.5000 0.5000 0.0000  6 O 2.30
Mn 0.5000 0.5000 0.5000  6 O 2.30
O 0.2540 0.2540 0.2540  3 Mn 2.30, 3 Ca 2.37
O 0.2540 0.2540 0.7380  3 Mn 2.30, 3 Ca 2.37
O 0.2540 0.7380 0.2540  3 Mn 2.30, 3 Ca 2.37
O 0.2620 0.7460 0.7460  3 Mn 2.30, 3 Ca 2.37
O 0.7380 0.2540 0.2540  3 Mn 2.30, 3 Ca 2.37
O 0.7460 0.2620 0.7460  3 Mn 2.30, 3 Ca 2.37
O 0.7460 0.7460 0.2620  3 Mn 2.30, 3 Ca 2.37
O 0.7460 0.7460 0.7460  3 Mn 2.30, 3 Ca 2.37

Magnetic moment ... 1.25 μB per atom
Total DFT energy (no corrections) ... -7.123 eV per atom
E_form ... -2.62 eV per atom

[5]
DFT (PBE+U) results for a geometry-optimized CaGe2WO6 structure.

a b c (Å): 8.3477 8.3477 5.3749
angles (deg): 98.12 98.12 62.65
Closest atoms and distances in Å follow each position.
Element x y z (fractional)
Ca 0.1528 0.8472 0.7500  8 O 2.41-2.63
Ca 0.8472 0.1528 0.2500  8 O 2.41-2.63
Ge 0.0786 0.2883 0.7854  3 O 1.91-1.99
Ge 0.2883 0.0786 0.2854  3 O 1.91-1.99
Ge 0.7117 0.9214 0.7146  3 O 1.91-1.99
Ge 0.9214 0.7117 0.2146  3 O 1.91-1.99
W 0.4085 0.5915 0.2500  6 O 1.87-2.04
W 0.5915 0.4085 0.7500  6 O 1.87-2.04
=====

Reply >
[1]
DFT (PBE+U) results for a geometry-optimized Zr3FeF6 structure.

a b c (Å): 6.3925 6.6967 12.6991
angles (deg): 88.13 86.59 61.59
Closest atoms and distances in Å follow each position.
Element x y z (fractional)
Zr 0.0000 0.0000 0.0000  2 F 2.03
Zr 0.0000 0.5000 0.5000  2 F 1.96
Zr 0.5000 0.0000 0.0000  2 F 2.03
Fe 0.0000 0.5000 0.0000  4 F 2.15-2.19
F 0.0747 0.4966 0.3477  1 Zr 1.96
F 0.0895 0.7187 0.0906  1 Zr 2.03, 1 Fe 2.19
F 0.3091 0.2859 0.0870  1 Zr 2.03, 1 Fe 2.15
F 0.6909 0.7141 0.9130  1 Zr 2.03, 1 Fe 2.15
F 0.9105 0.2813 0.9094  1 Zr 2.03, 1 Fe 2.19
F 0.9253 0.5034 0.6523  1 Zr 1.96

Magnetic moment ... 0.80 μB per atom
ΔE to the lowest computed polymorph ... 228 meV/atom
Total DFT energy (no corrections) ... -5.781 eV per atom
E_form ... -1.72 eV per atom

[2]
DFT (PBE+U) results for a geometry-optimized SrMnOF5 structure.

a b c (Å): 5.3692 7.7989 6.0804
angles (deg): 90.00 110.40 90.00
Closest atoms and distances in Å follow each position.
Element x y z (fractional)
Sr 0.0855 0.2500 0.3842  7 F 2.46-2.69
Sr 0.9145 0.7500 0.6158  7 F 2.46-2.69
Mn 0.5000 0.0000 0.0000  6 F 1.86-2.07
Mn 0.5000 0.5000 0.0000  6 F 1.86-2.07
O 0.3440 0.7500 0.4424  8 F 2.84-3.14, 2 Sr 2.85-2.87
O 0.6560 0.2500 0.5576  8 F 2.84-3.14, 2 Sr 2.85-2.87
F 0.2108 0.0377 0.7142  1 Mn 1.91
F 0.2108 0.4623 0.7142  1 Mn 1.91
F 0.2864 0.0548 0.1740  1 Mn 1.86
F 0.2864 0.4452 0.1740  1 Mn 1.86
F 0.3594 0.7500 0.9633  2 Mn 2.07
F 0.6406 0.2500 0.0367  2 Mn 2.07